Wednesday, November 25, 2015

**Calculated molecules that have nothing to do with the page**
/*
# 1
DFT (ωB97M-V/def2-TZVPD) results for C35H40N2O4S in the gas phase in a non-equilibrium geometry.

XYZ file:
```
82
Properties=species:S:1:pos:R:3:mulliken_charge:R:1
C -0.9274 3.5080 -3.6228 -0.670
C -0.1711 2.2657 -3.9716 -0.492
O 0.0358 1.5192 -2.7641 -0.124
C 0.2914 0.2142 -2.9796 -0.058
O 0.2068 -0.2992 -4.0784 -0.623
C 0.6560 -0.5438 -1.6935 -0.542
C -0.6274 -0.9503 -0.9882 0.234
C -1.5095 0.3031 -0.8636 0.040
C -2.6700 0.4686 -1.6318 -0.608
C -3.3900 1.6591 -1.5908 0.644
C -2.9718 2.6971 -0.7096 0.237
C -1.8305 2.4961 0.1104 -0.428
C -1.0874 1.3309 -0.0303 -1.225
C -1.3593 3.5428 1.0514 -0.604
C -2.3629 4.6772 1.2399 -0.893
C -2.9630 5.0739 -0.0922 -0.701
N -3.5629 3.9344 -0.7599 -0.078
C -4.4427 4.3035 -1.8497 -0.549
C -5.3435 3.1483 -2.2333 -0.954
C -4.5380 1.8786 -2.5154 -0.747
C -0.3465 -1.7237 0.3180 -0.960
C -0.0946 -3.1047 0.2727 -1.040
C 0.4953 -3.7638 1.3451 1.027
C 0.8188 -3.0222 2.5198 0.086
C 0.3516 -1.6868 2.6419 0.647
C -0.3542 -1.1246 1.5800 -0.932
C 0.6374 -0.9094 3.8795 -0.776
C 1.9512 -1.3538 4.5132 -0.642
C 1.9499 -2.8531 4.7033 -0.735
N 1.6479 -3.5505 3.4711 0.260
C 1.9559 -4.9600 3.5057 -0.685
C 2.0872 -5.5432 2.1158 -0.781
C 0.8661 -5.2059 1.2564 -0.880
S 1.9237 -1.8537 -2.2378 1.358
O 1.5248 -3.1543 -1.7446 -0.589
O 2.4231 -1.7059 -3.5779 -0.729
C 3.3473 -1.3591 -1.2532 -0.443
C 4.4496 -0.7854 -1.8838 -0.345
C 5.5949 -0.5120 -1.1339 -0.654
C 5.6307 -0.8173 0.2305 -0.545
C 4.5074 -1.3649 0.8638 -0.615
C 3.3578 -1.6312 0.1157 0.421
H -0.9474 4.1908 -4.4750 0.531
H -1.9682 3.2718 -3.3756 -0.144
H -0.4811 4.0289 -2.7702 0.228
H -0.7053 1.6671 -4.7122 0.362
H 0.8319 2.4933 -4.3379 0.287
H 1.2696 0.0818 -1.0139 0.625
H -1.1362 -1.6370 -1.6720 0.929
H -3.0135 -0.3546 -2.2681 0.428
H -0.1721 1.2013 0.5528 0.943
H -0.4119 3.9515 0.6676 0.306
H -1.1253 3.0884 2.0228 0.278
H -1.8720 5.5453 1.6842 0.391
H -3.1572 4.3553 1.9211 0.318
H -2.1869 5.5370 -0.7331 0.259
H -3.7528 5.8209 0.0436 0.445
H -5.0289 5.1658 -1.5071 0.448
H -3.8550 4.6478 -2.7255 0.207
H -6.0552 2.9607 -1.4226 0.321
H -5.9197 3.4412 -3.1143 0.379
H -4.1605 1.9281 -3.5498 0.283
H -5.2095 1.0126 -2.4826 0.464
H -0.4127 -3.6828 -0.5942 0.465
H -0.9387 -0.2207 1.7459 1.107
H -0.1830 -1.0420 4.6038 0.309
H 0.6811 0.1571 3.6350 0.307
H 2.0880 -0.8764 5.4832 0.403
H 2.7929 -1.0618 3.8754 0.121
H 1.2228 -3.1401 5.4826 0.277
H 2.9306 -3.2028 5.0451 0.416
H 1.1804 -5.5038 4.0726 0.276
H 2.8933 -5.0775 4.0578 0.399
H 2.9890 -5.1501 1.6308 0.233
H 2.1989 -6.6263 2.1956 0.396
H 1.0741 -5.4452 0.2074 0.371
H 0.0141 -5.8326 1.5695 0.319
H 4.3972 -0.5613 -2.9476 0.478
H 6.4594 -0.0725 -1.6323 0.379
H 6.5397 -0.6434 0.8041 0.393
H 4.5160 -1.6107 1.9292 0.399
H 2.4560 -2.0473 0.5755 0.356
```

As for the SMILES: CCOC(=O)[C@@H](C(c1cc2c3c(c1)CCCN3CCC2)c1cc2c3c(c1)CCCN3CCC2)S(=O)(=O)c1ccccc1. The LUMO energy is 0.635 eV. For the HOMO energy, the calculation gives -7.01 eV. The total energy is -58949.7818 eV. The HOMO-LUMO gap comes out at 0.281 Ha.



# 2
*/

"3 Pieces of Advice vs 20 Years of Salary"

A bit long but worth reading

A very poor newly wedded, young couple lived in a small farm. One day the husband made the following proposal to his wife:
- Honey, I will leave the house: I will travel faraway, get a job and work hard in order to come back and give you the comfortable life that you deserve. I do not know how long I will stay away, I only ask one thing, please wait for me, and while I am away, you should be faithful to me, because I will be faithful to you.
So the young man left. He walked many days until he found a farmer who was in need of someone to help him. The young man offered his services. He was accepted. Therefore he discussed the terms with his boss:
- Let me work for as long as I want and when I think I should go home, please relieve me of my duties. I do not want to receive my salary. I ask you to save it for me, until the day I leave. The day I decide to go, please give me the money and I will go my way.
They agreed on that. So, the young man worked for twenty years without holiday and without rest. After twenty years, he came to his boss and said:
- Boss, I want my money, because I am returning to my home.
The boss replied:
- All right, after all, I made a deal with you and I will stick to it. However, before you go I want to offer you something new: I will give you all your money and send you away; or I will give you 3 pieces of advice and send you away. If I give you the money, I do not give you the 3 pieces of advice. And if I give you the 3 pieces of advice, I will not give you the money. Now, go to your room and think about your answer.
He thought for two days. Then he went to the boss and told him:
- I want the 3 pieces of advice.
The boss stressed again:
- If I give you the 3 pieces of advice, I will not give you the money.
And the man replied:
- I want the 3 pieces of advice.
The boss then told him:
- No. 1: Never take shortcuts in your life, shorter and unknown paths can cost your life.
- No. 2: Never be too curious, for curiosity towards evil can be deadly.
- No. 3: Never make decisions in moments of anger or pain, because when you repent, it could be too late.
After giving these 3 pieces of advice, the boss said to him:
- Here, you have 3 loaves of bread, 2 are for you to eat during the journey and the last is for you to eat with your wife when you get home.
So, the man went his way, after twenty years away from home and from his wife, whom he loved so much.
After the first day of travel, he found a man who greeted him and asked:
- Where are you going?
He replied:
- To a distant place which is about 20 days away if I continue walking.
The man said to him:
- Ol' boy, this path is too long! I know a shortcut that is very safe and you will arrive in 5 days only.
The man began to follow the path suggested until he remembered the first piece of advice. Then, he returned and followed the long path. Days later he learned that the shortcut led to an ambush.
After a few more days of travel, he found an inn by the roadside, where he could rest. He paid for a room and after taking a bath he lay down to sleep.
During the night he woke up as he heard a terrifying scream. He rose to his feet and went to the door to check what happened. As he was opening the door, he remembered the second piece of advice. Therefore he returned, lay down again and slept.
At dawn, after breakfast, the owner of the lodging asked him if he had not heard the scream at night. He affirmed that he heard. Then, the host said:
- Were you not curious to see what happened?
And he replied:
- No, I was not.
Then the host said:
- You are the first guest to leave this inn alive. My neighbour is completely crazy. He usually shouts at night to call someone’s attention. When some of the guests come out, he kills them and buries their bodies in the backyard.
The man continued his long journey, eager to arrive soon. After many days and nights walking, he was very tired, but he finally saw his house far away.
It was night. He saw some light coming out of the window of his house and was able to see the silhouette of his wife. But he also saw that she was not alone. He came closer and saw there was a man with her. She softly caressed his hair.
When he saw that scene, his heart was filled with hatred and bitterness. He decided to rush at and kill them both mercilessly. However, he took a deep breath and he remembered the third piece of advice.
Then he stopped, reflected and decided to sleep outside that night. He slept in the midst of the bushes, determined to make a decision the next day. At dawn, he was calmer and thought:
- I will not kill my wife and her lover. I am going back to my boss to ask him to take me back. But before I go, I want to tell my wife that I have always been faithful to her.
He went to the front door and knocked. When his wife opened the door and recognized him, she cried and embraced him warmly. He tried to push her away, but he was not able. Then, with tears in his eyes he told her:
- I was faithful to you but you betrayed me.
She was shocked, so she replied:
- How did I betray you? I have never betrayed you. I waited patiently for you for twenty good years.
Then he asked:
- How about the man that you were caressing yesterday?
And she said:
- That man is your son. When you left, I discovered I was pregnant. Today he is twenty years old.
Hearing that, the man asked her forgiveness. He met and hugged his son. Then he told them all the things he had experienced while away. Meanwhile, his wife prepared some coffee for them to eat together, the last bread given by his boss.
After a prayer of thanksgiving, he broke the bread. When he looked at it, he found all his money inside. In fact, there was even more than the right payment for his twenty years of dedication and hard work.
Friends, our God is like this boss. When he asks us to make a sacrifice, he wants to give us more than what we give Him. He wants us to have His unique wisdom as well as the material blessings.

• Next to the text, the page also holds data records:
<<<
Below is a structure of composition C3H5Li2O4 in a non-equilibrium geometry, with properties calculated with ωB97M-V/def2-TZVPD.

Properties
2S+1: 2
Net charge: +2
ΔE to the lowest compared entry with this formula, charge and spin, kcal per mole: 3.77
HOMO (spin up / spin down), eV: -17.9118 / -18.7961
F_max, eV/Å: 5.1
Expectation value of S²: 0.760
Orbital gap (spin up / spin down), eV: 9.20 / 8.11
DFT total energy, eV: -11771.385
LUMO (spin up / spin down), Eh: -0.3200 / -0.3929

CARTESIAN COORDINATES (ANGSTROEM)
O -0.01799 0.58470 0.32417
C -0.77977 1.75692 0.07086
C 0.23251 -0.25327 -0.66952
O -1.75387 1.88432 0.82883
O -0.52302 2.45140 -0.90578
C 0.92069 -1.50740 -0.31884
Li -1.80705 3.89288 -0.77193
H -0.55432 -0.32433 -1.43498
H 0.19280 -2.34023 -0.22847
H 1.65619 -0.35679 -0.72949
H 1.38851 -1.97163 -1.23468
Li -2.33335 0.87557 2.25364
O 1.70726 -1.86673 1.31476
H 1.67140 -2.82542 1.50144

These are the Mulliken partial charges, in e, on atoms 1 to 5: -0.233, 0.960, 0.026, -0.780, -0.742


Below is a structure of composition C3H5LiNaO4 in a non-equilibrium geometry, with properties calculated with ωB97M-V/def2-TZVPD.

Properties
2S+1: 2
Net charge: +2
ΔE to the lowest compared entry with this formula, charge and spin, kcal per mole: 0.00
HOMO (spin up / spin down), eV: -17.3391 / -17.3067
F_max, eV/Å: 2.8
Expectation value of S²: 0.754
Orbital gap (spin up / spin down), eV: 10.61 / 4.65
DFT total energy, eV: -15986.987
LUMO (spin up / spin down), Eh: -0.2475 / -0.4653

CARTESIAN COORDINATES (ANGSTROEM)
O 0.34161 -0.37373 0.19739
C 1.61529 -0.63260 -0.19689
C -0.45799 0.38891 -0.64186
O 2.34940 -1.09558 0.72203
O 2.00226 -0.39318 -1.34164
C -1.72426 0.78577 0.04448
Na 4.53013 -1.33215 -0.94640
H 0.06990 1.28457 -1.01562
H -1.69159 1.79242 0.53299
H -0.95836 -0.23993 -1.45065
H -2.53013 1.10338 -0.70997
Li 1.78191 -1.36971 2.44733
O -2.30989 -0.15381 0.90406
H -3.01826 0.23565 1.45473

These are the Mulliken partial charges, in e, on atoms 1 to 5: -0.327, 0.918, -0.279, -0.838, -0.657


Below is a cluster of 2 separate species, C3H5N2 in total in a non-equilibrium geometry, with properties calculated with ωB97M-V/def2-TZVPD.

Properties
Net charge: +1
ΔE to the lowest compared entry with this formula, charge and spin, kcal per mole: 81.19
HOMO, eV: -17.7412
F_max, eV/Å: 4.9
Orbital gap, eV: 9.73
DFT total energy, eV: -6162.372
LUMO, Eh: -0.2943

CARTESIAN COORDINATES (ANGSTROEM)
C 1.28625 0.99960 0.12514
C 0.85369 -0.12162 -0.52101
C 0.25287 -1.12051 0.29118
N -4.14901 0.28541 -0.08834
N -3.06852 0.17760 0.15030
H 1.77718 1.71163 -0.54253
H 1.44999 1.31235 1.20851
H 1.06570 -0.30065 -1.61188
H 0.11296 -2.02201 -0.31704
H 0.41888 -0.92179 1.30568

These are the Mulliken partial charges, in e, on atoms 1 to 5: -0.394, 0.185, -0.331, -0.107, 0.118


# 1
The following is a DFT calculation (ωB97M-V/def2-TZVPD) of a molecular structure, C20H28N6ORh in a non-equilibrium geometry.

Cartesian coordinates (Å):
C 0.65 -4.26 -2.23
N -3.42 1.14 -0.16
>>>
• End of the data records:

Monday, July 27, 2015

Are we united ?

The relationship between Hindu and Muslim used to be very good before the Britishers turned up in India but the shining of this relation faded bit by bit and in present day the relationship is quite worst and if we find out the reason we will have to go to the past.

The seed was sown by the policy called Divide and Rule because together we were very strong and it was very hard to crack. Some anti religious things took place which created hatred between both.

We often blame Md Ali Jinna, Mahatma Gandhi and J.L Nehru for the partition of India, Yes it happened on religious ground but the matter of the fact was none of them was responsible and if i talk about Md Ali Jinna...he started his career as an ambassador of Hindu-Muslim unity then what led to the situation which created Pakistan? In that time there were riots took place in Punjab and Bengal. Where Hindus as well as Muslims were killed and above all there was a strong discrimination between Hindus and Muslim. These things made Jinna to demand a new nation ie Pakistan.

Then Partition happened Millions of people left there home and killed.

Now the question is how can we look up our relation? or should we stop listen to those who provoke us? or should we stop listen our politicians who provoke us?

Well none of these things can be stopped because its a human nature when you are being provoked on the name of religion then anyone can be provoked.

Now the answer of these questions are:
- We should stand to reason
- We should say wrongdoer WRONG.. be it of any religion

I think this is the only way we can improve our relation because politicians are very less in numbers who can provoke us and more than 50% of India's population is less than 25 year of age and over 60% are below 35 year of age and it is the only youth who can bring changes.
If we start differentiating between right or wrong then we would be able to get back the shining of our relation which we had in past.

As far as i am concern some people think i am Modis Bhakt :D ..well my answer for this is nether i am Modis Bhakt nor BJP. I like a person who work for the development of my county and those who are wiling to take my county ahead Because I am an Indian.

Now the question is
Are we united?

Thursday, May 7, 2015

Why don't we become our own leader?

Leadership is a quality, which everyone have but they do not realize it. Each and everyone on this planet have this quality then why don't we show it when it is required?

It is something which is not written on your face whether you have it or not. you have to show question arises how to show it?

Before answering this I want to mention a story of Hanuman..when he had to cross the sea. So at that point of time someone motivated him (exactly i dont know his name) and told him to believe in yourself. He understood this and crossed the sea.

Now coming to the answer, we also have to believe in our-self. We have to ignite the leadership quality which is within us and has been slept for many years.

Lets take example of politics where there is one leader and everyone follow him..which is totally good. We need someone to follow the foot steps of good leaders to succeed in life but the question is- Should we continue to follow those leaders blindly? It is not important that he would be right every-time. At this point of time we need to ignite our leadership quality so that we could take right decision and avoid hatred in society . As we have seen in Parliament if there leader is saying something and that is not beneficial for people instead of this people keep on supporting him.

Now the question is- Should we have to become our own leader or to follow them blindly?

Saturday, February 28, 2015

GIRL-The Pillar of Family and the Future of Society

As Rahul Gandhi has gone for vacation so I recalled his interview and I decided to write about WOMEN EMPOWERMENT :D

Actually this is really a burning question now a days. We might be listening to news, reading newspaper and magazines and we would have gone through incidents and accidents with women in India. While any article on women empowerment in India will take a look at our rich heritage and enlightened societies of the past where women were treated equally in the society even in RIG VED women had equal status and all the religion respect women.

But there are several places across the country where harmful customs of ancient world still exist with modern appliance and thought. Although it is hardly any surprise to anyone who had lived in India because I remember one song "IT HAPPENS ONLY IN INDIA"

YES! It is true it happens only in India . Brutal gang rape in Delhi, Domestic violence, Acid attack, Rape, Harassment, Dowry and many more and what else you want? We are the fourth dangerous country for women in the world.

We have forgot all the moral and ethics values.

We often heard that this is because of the western culture and when THIS western people bags some 80% of Nobel prizes then we don't follow them. Our is only one motto that we just have to follow there bad things. We need to change our mind-set unless it becomes late.


Sunday, February 22, 2015

Humanity Is Dead.

I can not give money to poor but i can throw it in to the water (Ganga)
Now a days I am travelling to Meerut daily. On the way there is Ganga Bridge. What most of the people do there , they throw coins in to the Ganga. I know it is related to religious stuff but where it is written " Dear Bakhts throw money in to ganga"?
Moreover One can give 50 rs tips to a waiter but can not give 10 rs to a begger. One day I was going to Meerut. A man was sitting besides me while we were going. where ever he saw any temple he was folding his hands which is good but i bust in to laughter when i saw he was folding his hands when we just crossed a nala and he thought this was a sacred water and suddenly he looked at me and SMILED.
Hence it proves you do not need to apply your mind you just have to follow what has been taught.

And I recalled one thing "These are those people,who have never read there sacred books, though following things blindly"

Now coming back to the point. Its better to give money to a needy person instead of wasting it and when you do so you will feel very good, which you must have not felt before.

Keep up the good work instead of doing useless things.


Tuesday, February 3, 2015

• Inserted here: data records:
........
Entry 1:
This record from the Open Molecules 2025 dataset describes a structure of composition C23H22Cl3MoN4Si. The level of theory is wB97M-V/def2-TZVPD.

Geometry (Å):
1 Mo 1.26080 0.26765 0.29253
2 C -3.96214 0.36832 -1.66270
3 C -3.74501 0.47637 -0.29266
4 C -2.49657 0.83180 0.18866
5 C -1.46427 1.08258 -0.70800
6 C -1.67686 0.99442 -2.07334
7 C -2.92939 0.62685 -2.54995
8 N -0.17206 1.47461 -0.21481
9 C -0.04395 2.85103 0.10456
10 C -1.05495 3.79768 0.01177
11 C -0.77343 5.11433 0.34995
12 C 0.49490 5.51224 0.76947
13 C 1.51384 4.58267 0.84587
14 C 1.22276 3.26601 0.51803
15 N 2.14185 2.20796 0.48234
16 N 3.36678 2.45615 0.51948
17 C 4.11326 1.29137 0.36146
18 C 5.48706 1.35759 0.50890
19 C 6.22164 0.19320 0.38898
20 C 5.55351 -0.98857 0.10872
21 C 4.18127 -0.96858 -0.06187
22 N 3.45039 0.15064 0.06137
23 H -4.93964 0.09263 -2.03477
24 H -4.55424 0.28837 0.40111
25 H -2.30852 0.91077 1.25276
26 H -0.86525 1.21673 -2.75444
27 H -3.09651 0.55238 -3.61618
28 H -2.04390 3.51794 -0.32115
29 H -1.56469 5.84897 0.28238
30 H 0.68019 6.54348 1.03309
31 H 2.51239 4.85017 1.16163
32 H 5.93893 2.31421 0.72607
33 H 7.29600 0.20734 0.50843
34 H 6.08261 -1.92432 0.00434
35 H 3.65230 -1.87498 -0.30419
36 Cl 1.29703 0.12456 2.59950
37 Si 0.92142 -1.80828 -0.96452
38 Cl 1.88644 -3.59883 -0.75056
39 Cl 0.13472 -1.79910 -2.83595
40 C -3.02676 -2.91882 1.50349
41 C -1.96665 -3.37174 0.48433
42 C -1.30672 -4.67531 0.95091
43 C -2.60191 -3.54834 -0.90157
44 C -0.97215 -2.29304 0.42839
45 C -0.20635 -1.33177 0.47453
46 H -3.79020 -3.69400 1.57497
47 H -3.50120 -1.99116 1.18525
48 H -2.58774 -2.76980 2.48966
49 H -2.07460 -5.44398 1.03956
50 H -0.82886 -4.54959 1.92213
51 H -0.56119 -5.02106 0.23589
52 H -3.38706 -4.30196 -0.83773
53 H -1.86658 -3.88437 -1.63316
54 H -3.04075 -2.61344 -1.25292

2S+1 = 1
ΔE to the lowest compared entry with this formula, charge and spin = 11.3 kcal/mol
E_tot = -2846.8202 a.u.
total charge = +1

Mulliken population analysis, charges in e, atoms 1 to 5: number 1, Mo, carries -0.092; number 2, C, carries -0.561; number 3, C, carries -0.913; number 4, C, carries 0.566; number 5, C, carries -1.104

---

Entry 2:
This record from the Open Molecules 2025 dataset describes a structure of composition C2H5OP at a distorted geometry. The level of theory is wB97M-V/def2-TZVPD.

Geometry (Å):
1 C 0.21677 0.82104 -0.10325
2 C -0.16096 -0.46804 -0.56897
3 O 0.40620 -1.58970 0.02802
4 P -2.00849 0.01457 0.04070
5 H 0.51146 0.76953 0.96663
6 H 0.04225 1.77244 -0.53587
7 H -0.17938 -0.58396 -1.60412
8 H 0.39010 -1.32981 0.91773
9 H -2.07857 -0.83244 1.22228

2S+1 = 1
ΔE to the lowest compared entry with this formula, charge and spin = 60.4 kcal/mol
E_tot = -495.6842 a.u.

Mulliken population analysis, charges in e, atoms 1 to 5: number 1, C, carries -0.757; number 2, C, carries -0.120; number 3, O, carries -0.458; number 4, P, carries 0.019; number 5, H, carries 0.225

* * * * *

# C54H55Cl2N3OSeV
........
• The data records stop here:

Never Give Up

Keep the faith...that the best is yet to come. Keep the faith that the next extraordinary version of you is being crafted even now...that nothing can deter you from keeping your commitment to achieving your goals set for today...that you can better your best! Keep the faith. Move forward in spite of your fears and despite any evidence to the contrary. Believe that IT'S POSSIBLE!!

Think why am I here?

There are moments when you may wonder - Why am I here? Is it really worth it? Will the problems and challenges ever end? Superficial answers just won’t do. During those moments, you must turn within to find real answers, true meaning and your purpose for being.
The real answers of life are not found in your mind, but are revealed in your heart. Take the time to reflect on and deepen the reasons for your life.
You have something special. Whether you realize it or not, the world is a better place because you are here. Nurture the spiritual part of yourself to deepen your connection with life and find your center. You have the power within you to heal, strengthen and express more in your life